Please print only the lines further below with the word "computed" in them.

........
One molecule with the formula C24H30N4O7S at a distorted geometry, computed with ωB97M-V with the def2-TZVPD basis set.

Total charge: 0
HOMO: -8.1 eV
Maximum force: 0.0222 Eh/bohr
Structure (SMILES): COCCCNC(=O)Cn1c(=O)n(CC(=O)NCCc2ccc(OC)c(OC)c2)c(=O)c2sccc21
E_tot: -2076.52171 hartree

Atoms and positions in Å:
C1 4.271 5.478 -1.403
H1 4.398 6.381 -0.791
O1 2.915 5.159 -1.567
C2 2.250 4.913 -0.350
C3 0.869 4.347 -0.664
C4 0.968 2.923 -1.212
N1 1.362 2.000 -0.172
C5 2.421 1.195 -0.261
O2 3.225 1.175 -1.172
C6 2.592 0.288 0.975
N2 1.636 -0.802 1.014
C7 1.808 -1.892 0.209
C8 0.996 -3.001 0.368
C9 -0.013 -3.077 1.376
O3 -0.701 -4.053 1.626
N3 -0.138 -1.899 2.112
C10 0.613 -0.744 1.936
O4 0.418 0.257 2.591
C11 -1.057 -1.915 3.246
H2 -0.947 -2.877 3.754
H3 -0.778 -1.091 3.905
C12 -2.524 -1.718 2.830
O5 -3.106 -0.668 3.020
N4 -3.082 -2.812 2.292
H4 -2.475 -3.601 2.087
C13 -4.373 -2.783 1.645
H5 -4.822 -1.815 1.875
H6 -5.007 -3.569 2.068
C14 -4.240 -2.992 0.127
C15 -3.095 -2.212 -0.463
C16 -2.240 -2.794 -1.380
C17 -1.167 -2.083 -1.899
C18 -0.896 -0.798 -1.466
C19 -1.756 -0.199 -0.520
C20 -2.859 -0.898 -0.067
H7 -3.537 -0.425 0.622
O6 -1.423 1.061 -0.120
C21 -2.251 1.699 0.832
H8 -3.255 1.869 0.432
H9 -1.779 2.660 1.031
H10 -2.318 1.128 1.762
O7 0.170 -0.040 -1.867
C22 0.847 -0.403 -3.047
H11 1.330 -1.381 -2.960
H12 1.614 0.357 -3.183
H13 0.169 -0.409 -3.906
H14 -0.532 -2.553 -2.633
H15 -2.402 -3.810 -1.705
H16 -4.080 -4.052 -0.078
H17 -5.181 -2.698 -0.346
S1 1.407 -4.261 -0.741
C23 2.658 -3.285 -1.399
C24 2.769 -2.062 -0.814
H18 3.470 -1.307 -1.118
H19 3.253 -3.673 -2.203
H20 3.602 -0.130 0.963
H21 2.445 0.879 1.883
H22 0.686 1.837 0.561
H23 0.008 2.603 -1.622
H24 1.731 2.887 -1.991
H25 0.259 4.357 0.240
H26 0.399 4.985 -1.413
H27 2.822 4.192 0.255
H28 2.164 5.848 0.227
H29 4.818 4.652 -0.931
H30 4.672 5.656 -2.399

=====

C16H20BrFN4S2 as an isolated structure at a distorted geometry, computed with ωB97M-V with the def2-TZVPD basis set.

Total charge: 0
HOMO: -8.4 eV
Maximum force: 0.0709 Eh/bohr
E_tot: -4310.89268 hartree

Atoms and positions in Å:
C1 -5.581 -1.390 2.368
C2 -5.606 0.141 2.215
F1 -6.698 0.416 1.355
C3 -4.377 0.726 1.506
C4 -3.278 0.009 1.176
C5 -2.177 0.604 0.491
N1 -1.072 -0.088 0.113
S1 -0.217 1.070 -0.635
N2 -1.115 2.421 -0.533
C6 -2.217 2.003 0.137
C7 -3.380 2.742 0.510
Br1 -3.444 4.594 0.031
C8 -4.427 2.161 1.178
S2 -5.791 3.223 1.616
H1 -4.577 -1.809 2.492
H2 -6.162 -1.712 3.247
H3 -6.078 -1.805 1.480
H4 -5.769 0.664 3.169
H5 -3.195 -1.052 1.410
H6 -6.929 2.555 1.322
C9 4.068 0.865 -4.339
C10 4.057 -0.601 -3.920
C11 2.643 -1.185 -3.817
C12 1.863 -0.558 -2.755
N3 1.245 -0.057 -1.923
H7 3.575 1.497 -3.598
H8 5.094 1.218 -4.444
H9 3.564 1.002 -5.298
H10 4.578 -0.708 -2.966
H11 4.617 -1.181 -4.654
H12 2.710 -2.256 -3.615
H13 2.120 -1.078 -4.769
C13 3.617 -1.562 3.105
C14 2.871 -0.671 2.118
C15 3.228 -0.963 0.658
C16 4.622 -0.651 0.346
N4 5.717 -0.408 0.101
H14 4.695 -1.396 3.058
H15 3.294 -1.348 4.125
H16 3.423 -2.618 2.904
H17 3.074 0.376 2.351
H18 1.798 -0.824 2.248
H19 2.593 -0.358 0.010
H20 3.024 -2.010 0.424

=====

C19H10Cl5N2O2Pd as an isolated structure, computed with ωB97M-V with the def2-TZVPD basis set.

Total charge: +1
HOMO: -12.0 eV
Maximum force: 0.0059 Eh/bohr
E_tot: -3418.65185 hartree

Atoms and positions in Å:
Pd1 -0.794 0.447 0.108
O1 4.830 -4.771 2.654
C1 3.665 -4.189 2.981
O2 3.127 -4.449 4.016
C2 3.059 -3.208 2.006
C3 1.881 -2.592 2.410
C4 1.251 -1.684 1.582
C5 1.794 -1.368 0.343
C6 2.965 -1.990 -0.075
C7 3.590 -2.902 0.757
N1 1.083 -0.414 -0.441
C8 1.561 0.127 -1.491
C9 0.730 1.080 -2.238
C10 1.127 1.610 -3.447
C11 0.258 2.453 -4.129
C12 -0.979 2.722 -3.581
C13 -1.310 2.168 -2.352
N2 -0.468 1.380 -1.689
H1 5.171 -4.469 1.806
H2 1.473 -2.844 3.379
H3 0.328 -1.214 1.905
H4 3.395 -1.795 -1.048
H5 4.494 -3.371 0.390
H6 2.555 -0.093 -1.869
H7 2.099 1.358 -3.851
H8 0.546 2.882 -5.079
H9 -1.693 3.357 -4.085
H10 -2.266 2.356 -1.889
Cl1 -1.634 3.892 0.316
C14 -2.799 2.666 0.688
........

One molecule with the formula C24H30N4O7S at a distorted geometry, computed with ωB97M-V with the def2-TZVPD basis set.
C16H20BrFN4S2 as an isolated structure at a distorted geometry, computed with ωB97M-V with the def2-TZVPD basis set.
C19H10Cl5N2O2Pd as an isolated structure, computed with ωB97M-V with the def2-TZVPD basis set.